Write out the notes further down from the line with "0.253" to the end with every line break kept.

- - -
1.
ScInPb2, optimized geometry, DFT PBE; E_form = -0.046 eV per atom; crystal system = trigonal; density of states at the Fermi level = 2.907 states/eV/cell
1.0
1.797 1.038 9.915
-1.797 1.038 9.915
0.000 -2.075 9.915
Sc In Pb
1 1 2
Direct
0.000 0.000 0.000
0.500 0.500 0.500
0.253 0.253 0.253
0.747 0.747 0.747

***

2.
ScIn2Pb, optimized geometry, DFT PBE; E_form = -0.116 eV per atom; crystal system = tetragonal; density of states at the Fermi level = 3.415 states/eV/cell
1.0
4.079 0.000 0.000
0.000 4.079 0.000
0.000 0.000 6.166
Sc In Pb
1 2 1
Direct
0.000 0.000 0.000
0.500 0.500 0.241
0.500 0.500 0.759
0.000 0.000 0.500

***

3.
ScInPb2, optimized geometry, DFT PBE; E_form = -0.149 eV per atom; crystal system = tetragonal; density of states at the Fermi level = 2.146 states/eV/cell
1.0
-2.247 2.247 5.198
2.247 -2.247 5.198
2.247 2.247 -5.198
Sc In Pb
1 1 2
Direct
0.000 0.000 0.000
0.250 0.750 0.500
0.500 0.500 0.000
0.750 0.250 0.500

***

4.
ScInPb3, optimized geometry, DFT PBE; energy above the most stable polymorph in this dataset = 0 meV per atom; E_form = 0.243 eV per atom; crystal system = cubic; density of states at the Fermi level = 3.043 states/eV/cell
1.0
5.631 0.000 0.000
0.000 5.631 0.000
0.000 0.000 5.631
Sc In Pb
1 1 3
Direct
0.000 0.000 0.000
0.500 0.500 0.500
0.000 0.000 0.500
0.000 0.500 0.000
0.500 0.000 0.000

***

5.
Sc6In5Pb, optimized geometry, DFT PBE; E_form = -0.410 eV per atom; crystal system = monoclinic; density of states at the Fermi level = 8.935 states/eV/cell
1.0
7.225 -4.364 0.000
7.225 4.364 0.000
-1.440 0.000 4.340
Sc In Pb
6 5 1
Direct
0.083 0.583 0.333
0.249 0.751 0.000
0.417 0.917 0.667
0.583 0.083 0.333
0.751 0.249 0.000
0.917 0.417 0.667
0.000 0.000 0.500
0.166 0.166 0.166
0.327 0.327 0.827
0.673 0.673 0.173
0.834 0.834 0.834
0.500 0.500 0.500

***

6.
ScIn2Pb, optimized geometry, DFT PBE; E_form = -0.004 eV per atom; crystal system = cubic; density of states at the Fermi level = 3.334 states/eV/cell
1.0
0.000 3.748 3.748
3.748 0.000 3.748
3.748 3.748 0.000
Sc In Pb
1 2 1
Direct
0.000 0.000 0.000
0.250 0.250 0.250
0.500 0.500 0.500
0.750 0.750 0.750

***

7.
ScInPb2, optimized geometry, DFT PBE; E_form = -0.125 eV per atom; crystal system = orthorhombic; density of states at the Fermi level = 3.467 states/eV/cell
1.0
-1.782 2.710 5.538
1.782 -2.710 5.538
1.782 2.710 -5.538
Sc In Pb
1 1 2
Direct
0.000 0.000 0.000
0.230 0.730 0.500
0.486 0.486 0.000
0.757 0.257 0.500

***

8.
Sc2InPb2, optimized geometry, DFT PBE; energy above the most stable polymorph in this dataset = 262 meV per atom; E_form = 0.054 eV per atom; crystal system = tetragonal; density of states at the Fermi level = 4.836 states/eV/cell
1.0
-2.554 2.554 5.867
2.554 -2.554 5.867
2.554 2.554 -5.867
Sc In Pb
2 1 2
Direct
0.250 0.750 0.500
0.750 0.250 0.500
0.000 0.000 0.000
0.375 0.375 0.000
0.625 0.625 0.000

***

9.
ScInPb, optimized geometry, DFT PBE; energy above the most stable polymorph in this dataset = 200 meV per atom; E_form = -0.077 eV per atom; crystal system = cubic; density of states at the Fermi level = 1.082 states/eV/cell
1.0
0.000 3.509 3.509
3.509 0.000 3.509
3.509 3.509 0.000
Sc In Pb
1 1 1
Direct
0.000 0.000 0.000
0.250 0.250 0.250
0.750 0.750 0.750

***

10.
ScInPb2, optimized geometry, DFT PBE; E_form = -0.141 eV per atom; crystal system = monoclinic; density of states at the Fermi level = 2.695 states/eV/cell
1.0
5.896 -1.721 0.000
5.896 1.721 0.000
-1.910 0.000 5.246
Sc In Pb
1 1 2
Direct
0.000 0.000 0.000
0.725 0.725 0.351
0.255 0.255 0.879
0.481 0.481 0.502

***

11.
ScInPb2, optimized geometry, DFT PBE; E_form = -0.160 eV per atom; crystal system = tetragonal; density of states at the Fermi level = 2.455 states/eV/cell
1.0
4.845 0.000 0.000
0.000 4.845 0.000
0.000 0.000 4.486
Sc In Pb
1 1 2
Direct
0.000 0.000 0.000
0.500 0.500 0.000
0.000 0.500 0.500
0.500 0.000 0.500

***

12.
- - -

0.253 0.253 0.253
0.747 0.747 0.747

***

2.
ScIn2Pb, optimized geometry, DFT PBE; E_form = -0.116 eV per atom; crystal system = tetragonal; density of states at the Fermi level = 3.415 states/eV/cell
1.0
4.079 0.000 0.000
0.000 4.079 0.000
0.000 0.000 6.166
Sc In Pb
1 2 1
Direct
0.000 0.000 0.000
0.500 0.500 0.241
0.500 0.500 0.759
0.000 0.000 0.500

***

3.
ScInPb2, optimized geometry, DFT PBE; E_form = -0.149 eV per atom; crystal system = tetragonal; density of states at the Fermi level = 2.146 states/eV/cell
1.0
-2.247 2.247 5.198
2.247 -2.247 5.198
2.247 2.247 -5.198
Sc In Pb
1 1 2
Direct
0.000 0.000 0.000
0.250 0.750 0.500
0.500 0.500 0.000
0.750 0.250 0.500

***

4.
ScInPb3, optimized geometry, DFT PBE; energy above the most stable polymorph in this dataset = 0 meV per atom; E_form = 0.243 eV per atom; crystal system = cubic; density of states at the Fermi level = 3.043 states/eV/cell
1.0
5.631 0.000 0.000
0.000 5.631 0.000
0.000 0.000 5.631
Sc In Pb
1 1 3
Direct
0.000 0.000 0.000
0.500 0.500 0.500
0.000 0.000 0.500
0.000 0.500 0.000
0.500 0.000 0.000

***

5.
Sc6In5Pb, optimized geometry, DFT PBE; E_form = -0.410 eV per atom; crystal system = monoclinic; density of states at the Fermi level = 8.935 states/eV/cell
1.0
7.225 -4.364 0.000
7.225 4.364 0.000
-1.440 0.000 4.340
Sc In Pb
6 5 1
Direct
0.083 0.583 0.333
0.249 0.751 0.000
0.417 0.917 0.667
0.583 0.083 0.333
0.751 0.249 0.000
0.917 0.417 0.667
0.000 0.000 0.500
0.166 0.166 0.166
0.327 0.327 0.827
0.673 0.673 0.173
0.834 0.834 0.834
0.500 0.500 0.500

***

6.
ScIn2Pb, optimized geometry, DFT PBE; E_form = -0.004 eV per atom; crystal system = cubic; density of states at the Fermi level = 3.334 states/eV/cell
1.0
0.000 3.748 3.748
3.748 0.000 3.748
3.748 3.748 0.000
Sc In Pb
1 2 1
Direct
0.000 0.000 0.000
0.250 0.250 0.250
0.500 0.500 0.500
0.750 0.750 0.750

***

7.
ScInPb2, optimized geometry, DFT PBE; E_form = -0.125 eV per atom; crystal system = orthorhombic; density of states at the Fermi level = 3.467 states/eV/cell
1.0
-1.782 2.710 5.538
1.782 -2.710 5.538
1.782 2.710 -5.538
Sc In Pb
1 1 2
Direct
0.000 0.000 0.000
0.230 0.730 0.500
0.486 0.486 0.000
0.757 0.257 0.500

***

8.
Sc2InPb2, optimized geometry, DFT PBE; energy above the most stable polymorph in this dataset = 262 meV per atom; E_form = 0.054 eV per atom; crystal system = tetragonal; density of states at the Fermi level = 4.836 states/eV/cell
1.0
-2.554 2.554 5.867
2.554 -2.554 5.867
2.554 2.554 -5.867
Sc In Pb
2 1 2
Direct
0.250 0.750 0.500
0.750 0.250 0.500
0.000 0.000 0.000
0.375 0.375 0.000
0.625 0.625 0.000

***

9.
ScInPb, optimized geometry, DFT PBE; energy above the most stable polymorph in this dataset = 200 meV per atom; E_form = -0.077 eV per atom; crystal system = cubic; density of states at the Fermi level = 1.082 states/eV/cell
1.0
0.000 3.509 3.509
3.509 0.000 3.509
3.509 3.509 0.000
Sc In Pb
1 1 1
Direct
0.000 0.000 0.000
0.250 0.250 0.250
0.750 0.750 0.750

***

10.
ScInPb2, optimized geometry, DFT PBE; E_form = -0.141 eV per atom; crystal system = monoclinic; density of states at the Fermi level = 2.695 states/eV/cell
1.0
5.896 -1.721 0.000
5.896 1.721 0.000
-1.910 0.000 5.246
Sc In Pb
1 1 2
Direct
0.000 0.000 0.000
0.725 0.725 0.351
0.255 0.255 0.879
0.481 0.481 0.502

***

11.
ScInPb2, optimized geometry, DFT PBE; E_form = -0.160 eV per atom; crystal system = tetragonal; density of states at the Fermi level = 2.455 states/eV/cell
1.0
4.845 0.000 0.000
0.000 4.845 0.000
0.000 0.000 4.486
Sc In Pb
1 1 2
Direct
0.000 0.000 0.000
0.500 0.500 0.000
0.000 0.500 0.500
0.500 0.000 0.500

***

12.